[Brief]
Your job: repeat only the lines further down with the word "Entry" in them.

[Excerpt]
┌──
(A)
18
Properties=species:S:1:pos:R:3:mulliken_charge:R:1 method="wB97M-V/def2-TZVPD" orbital_gap_ev=9.78 spin_multiplicity=1 smiles=CSC.O.O.O
C 0.3646 2.1885 -1.1696 -0.89
S -0.2797 0.4773 -0.3562 -0.09
C 1.3289 -0.3672 -1.4397 -1.09
H 1.3990 2.2531 -0.9269 0.32
H 0.2603 2.0681 -2.2671 0.32
H -0.2406 2.9443 -0.6549 0.34
H 1.4611 -1.4019 -1.1645 0.48
H 2.1229 0.3315 -1.0349 0.37
H 1.0821 -0.1339 -2.4376 0.33
H 1.4309 -1.6413 1.9899 0.33
H 1.4285 -1.1124 0.6466 0.25
O 2.0737 -1.4484 1.2877 -0.63
H -2.1084 -0.1838 0.1952 0.32
H -3.5028 0.4725 0.2928 0.32
O -3.0172 -0.3191 0.5400 -0.63
H -1.7215 -1.6257 2.7568 0.27
H -1.1528 -0.9313 1.5278 0.28
O -0.9292 -1.5703 2.2147 -0.59

(B)
18
Properties=species:S:1:pos:R:3:mulliken_charge:R:1 method="wB97M-V/def2-TZVPD" orbital_gap_ev=9.03 spin_multiplicity=1 smiles=CSC.O.O.O
C -2.7567 -3.3715 -4.0519 -0.72
S -1.7220 -3.1096 -2.5750 -0.09
C -1.3279 -1.3396 -2.7332 -0.77
H -2.2244 -3.9681 -4.7780 0.26
H -2.9141 -2.4022 -4.5263 0.23
H -3.6893 -3.8169 -3.7438 0.27
H -2.0934 -0.8261 -3.2874 0.27
H -1.0253 -0.9442 -1.7692 0.29
H -0.3677 -1.2829 -3.2662 0.27
H -0.9103 4.1382 4.2647 0.33
H -1.9876 4.1956 3.1415 0.32
O -1.7157 4.5789 3.9772 -0.64
H 4.8496 -0.1690 2.3534 0.32
H 5.1348 1.3082 2.4704 0.32
O 4.4329 0.6945 2.2343 -0.62
H 3.2767 2.1160 4.7184 0.31
H 2.3351 1.7309 3.5403 0.32
O 2.7052 2.4678 4.0308 -0.64

Least stable structure among those shown: (A).

----------

Here is a structure of composition C19H20ClN4O5Ta from the Open Molecules 2025 dataset. Energies are from ωB97M-V/def2-TZVPD.

Geometry (Å):
Ta (0.83811, 0.15104, -0.20524)
N (-0.60439, -1.61784, -0.12286)
N (-0.62452, -2.09990, 1.19158)
C (0.15038, -1.51895, 2.13074)
O (0.27311, -1.84628, 3.25397)
O (0.84059, -0.44812, 1.53437)
H (-1.57091, -1.36151, -0.37618)
H (-0.27366, -2.34861, -0.75040)
H (-1.12241, -2.95509, 1.40718)
C (3.91599, -2.93416, -2.18138)
C (3.76833, -3.00231, -0.79330)
C (3.02439, -2.04839, -0.13155)
C (2.42425, -0.99584, -0.84987)
C (2.61461, -0.92108, -2.24195)
C (3.33381, -1.90354, -2.90759)
H (4.50139, -3.68665, -2.69322)
H (4.23708, -3.80133, -0.23454)
H (2.90740, -2.11004, 0.94602)
H (2.21231, -0.09262, -2.82668)
H (3.46312, -1.84501, -3.97979)
C (-2.91754, 1.36583, 3.20724)
C (-3.27923, 0.42162, 2.10033)
C (-3.55588, -0.92273, 2.34869)
C (-3.90136, -1.77846, 1.31245)
Cl (-4.12078, -3.46405, 1.64019)
C (-4.01035, -1.32503, 0.00526)
C (-3.72995, 0.00634, -0.25722)
C (-3.35219, 0.85978, 0.77566)
O (-3.07782, 2.20599, 0.53129)
C (-2.41049, 2.40613, -0.68392)
C (-1.06302, 1.72312, -0.57626)
O (-0.32663, 1.86213, 0.44697)
O (-0.60947, 0.89288, -1.48606)
H (-2.90381, 0.85012, 4.16440)
H (-3.63586, 2.18409, 3.26441)
H (-1.93751, 1.81348, 3.03254)
H (-3.48759, -1.30709, 3.35888)
H (-4.33796, -1.98286, -0.79316)
H (-3.86854, 0.37867, -1.26295)
H (-2.24684, 3.47404, -0.84292)
H (-2.93532, 2.01598, -1.55278)
N (2.99122, 3.65351, -1.50345)
C (3.96162, 3.10376, -0.69740)
C (3.44290, 1.94680, -0.22779)
N (2.16022, 1.79220, -0.74609)
C (1.92894, 2.85371, -1.51431)
H (3.07396, 4.51810, -2.01992)
H (4.91443, 3.57581, -0.53201)
H (3.89079, 1.21452, 0.42172)
H (1.03508, 3.04786, -2.08311)

Values from the calculation:
Multiplicity: 1
Charge: +2
E: -50286.5475 eV
Relative energy (zero: lowest compared OMol25 entry of this formula, charge and spin): 57.2 kJ/mol
Highest occupied orbital energy: -14.2 eV

----------

Entry 1:
Entry from the OMol25 dataset: a molecular structure, C31H44NOP2ReS (ωB97M-V/def2-TZVPD).

Structure (XYZ):
```
81
Properties=species:S:1:pos:R:3:forces:R:3:mulliken_charge:R:1
Re 0.06855 0.03691 0.40065 -0.5 0.1 0.0 0.775
C -1.38366 -4.59398 -0.80419 0.0 0.0 0.0 -1.651
C -1.33983 -3.25716 -0.04834 0.0 -0.1 0.1 0.720
C -2.75452 -2.76380 0.27645 0.0 0.0 0.0 -1.226
P -0.34014 -1.97049 -0.87227 -0.1 0.2 0.1 1.068
C -0.61450 -1.82768 -2.67457 0.0 0.1 -0.1 1.251
C 0.14344 -2.88761 -3.48121 0.0 0.0 0.0 -1.411
C -2.10828 -1.81733 -3.01857 0.0 0.0 0.0 -1.743
C 1.40838 -2.29348 -0.49985 0.1 0.0 0.0 -0.120
└──

[Response]
Entry 1:
Entry from the OMol25 dataset: a molecular structure, C31H44NOP2ReS (ωB97M-V/def2-TZVPD).